
Liu Yalou: After 8 years of Anti-Japanese War and went to the Soviet Union, why can he still be awarded the title of general? A death funeral is comparable to a state funeral

author:Fengfeng said history

In 1955, the mainland conferred titles on those generals who had made outstanding contributions to the country in Zhongnanhai, and in this grand ceremony, "Liu Yalou was awarded the rank of general" caused a small sensation at that time.

Liu Yalou: After 8 years of Anti-Japanese War and went to the Soviet Union, why can he still be awarded the title of general? A death funeral is comparable to a state funeral

After all, during the entire Anti-Japanese War, Liu Yalou was in the Soviet Union, and he did not return to his motherland until the end of the Anti-Japanese War. Many people think that he made almost no contribution to the establishment of the War of Resistance Against Japan, but why was the general, this identity that symbolizes honor and highlights contributions, awarded to such a person who did not participate?

But such an important country will naturally not make a random choice, but looking at the funeral of General Liu Yalou, the grandeur is comparable to a state funeral, if there is no solid foundation for contribution, how can it have such treatment?

Between two parts of the page: calculated crystals.
/*
1.
Density functional theory data (PBE) for a relaxed structure of CaMgZn.

abc: 7.869 3.455 10.946
angles: 90.00 90.00 90.00
Atoms (fractional coordinates):
Ca 0.163 0.250 0.090
Ca 0.337 0.750 0.590
Ca 0.663 0.250 0.410
Ca 0.837 0.750 0.910
Mg 0.083 0.250 0.383
Mg 0.417 0.750 0.883
Mg 0.583 0.250 0.117
Mg 0.917 0.750 0.617
Zn 0.130 0.250 0.791
Zn 0.370 0.750 0.291
Zn 0.630 0.250 0.709
Zn 0.870 0.750 0.209

Computed properties:
* ΔE_f: -0.076 eV per atom
* volume: 74.4 Å³/f.u.
* magnetization: 0.000 μB per atom

2.
Density functional theory data (PBE) for a relaxed structure of CaMgZn2.

abc: 5.196 5.196 8.380
angles: 90.00 90.00 120.00
Atoms (fractional coordinates):
Ca 0.333 0.667 0.250
Ca 0.667 0.333 0.750
Mg 0.000 0.000 0.250
Mg 0.000 0.000 0.750
Zn 0.333 0.667 0.604
Zn 0.333 0.667 0.896
Zn 0.667 0.333 0.104
Zn 0.667 0.333 0.396

Computed properties:
* ΔE_f: 0.147 eV per atom
* volume: 98.0 Å³/f.u.
* magnetization: 0.000 μB per atom

3.
Density functional theory data (PBE) for a relaxed structure of Ca4MgZn5.

abc: 3.598 3.598 18.178
angles: 90.00 90.00 90.00
Atoms (fractional coordinates):
Ca 0.000 0.000 0.104
Ca 0.000 0.000 0.312
Ca 0.000 0.000 0.688
Ca 0.000 0.000 0.896
Mg 0.000 0.000 0.500
Zn 0.500 0.500 0.000
Zn 0.500 0.500 0.209
Zn 0.500 0.500 0.421
Zn 0.500 0.500 0.579
Zn 0.500 0.500 0.791

Computed properties:
* ΔE_f: -0.202 eV per atom
* volume: 235.3 Å³/f.u.
* magnetization: 0.000 μB per atom

4.
Density functional theory data (PBE) for a relaxed structure of Ca5MgZn6.

abc: 8.864 8.864 5.075
angles: 106.58 106.58 119.76
Atoms (fractional coordinates):
Ca 0.000 0.000 0.000
Ca 0.166 0.834 0.500
Ca 0.330 0.670 0.000
Ca 0.670 0.330 0.000
Ca 0.834 0.166 0.500
Mg 0.500 0.500 0.500
Zn 0.106 0.423 0.265
Zn 0.270 0.270 0.769
Zn 0.423 0.106 0.265
Zn 0.577 0.894 0.735
Zn 0.730 0.730 0.231
Zn 0.894 0.577 0.735

Computed properties:
* ΔE_f: -0.204 eV per atom
* volume: 284.7 Å³/f.u.
* magnetization: 0.000 μB per atom

~~~~~

Computed, not measured: a relaxed ScHg2Se crystal at the PBE-GGA level of DFT.

```
ScHg2Se
1.0
6.191 0.000 0.000
0.000 3.992 0.004
0.000 0.013 3.988
Se Hg Sc
1 2 1
Cartesian
3.095 3.004 2.994
0.000 0.005 0.005
0.000 1.998 1.991
3.095 1.001 0.998
```

## Properties
E (eV for the cell shown): -12.3
DOS(E_F) (states/eV/atom): 0.643
M_tot (Bohr magnetons per cell): 0.0
SG: Cmmm, No. 65
ΔE_f (raw) (eV/atom): -0.477

~~~~~

(1)
Material: MgVInS4
Method: DFT, GGA-PBEsol
State: optimized geometry

theoretical density	3.716	g/cm3
magnetization	4.00	μB per cell
calculated total energy	-5.4445	eV/atom
formation energy without anion corrections	-0.892	eV/atom

Cell lengths 7.122, 7.443, 7.423 Å; angles 119.91, 90.00, 118.58 degrees
Element x y z (fractional)
V 0.000 0.500 0.000
V 0.500 0.500 0.000
In 0.000 0.000 0.000
In 0.000 0.000 0.500
S 0.755 0.510 0.779
S 0.726 0.948 0.224
S 0.777 0.052 0.776
S 0.223 0.948 0.224
S 0.755 0.510 0.231
S 0.245 0.490 0.221
S 0.245 0.490 0.769
S 0.274 0.052 0.776
Mg 0.374 0.747 0.624
*/
End of the calculated crystals.

Liu Yalou: After 8 years of Anti-Japanese War and went to the Soviet Union, why can he still be awarded the title of general? A death funeral is comparable to a state funeral

Go through a difficult life and walk on the right path

Liu Yalou was born in Fujian Province in 1910, and his mother died unfortunately due to frailty after birth. Since he was a child, without the company of his mother, Liu Yalou and his father depended on each other. But my father didn't have any great skills, mainly chopping wood for a living, and the family was very poor.

At that time, Liu Yalou had just been born, but now that his mother has left him, how to solve the problem of milk?

In desperation, his father could only pass Liu Yalou to his friend Liu Dexiang, and it was this move that completely changed Liu Yalou's life.

Liu Dexiang treats Liu Yalou like his own son, taking care of all aspects, after Liu Yalou grew up a little, Liu Dexiang found that the child was not ordinary, very smart, so he planned to cultivate it well, and simply let his son who was not angry drop out of school, and the family saved money to send Liu Yalou to the best local private school.

Although in that era, there were wars and people were struggling to make a living, even if life was very difficult, Liu Dexiang did not favor his children because of blood relations, which is enough to see the size of his inner pattern!

Liu Yalou: After 8 years of Anti-Japanese War and went to the Soviet Union, why can he still be awarded the title of general? A death funeral is comparable to a state funeral

In a blink of an eye, Liu Yalou has reached the age of middle school, but after so many years of studying, it has long made it difficult for this family who is not wealthy.

=====
K2MoAuF6 | GGA+U | relaxed

* DFT total energy: -4.5611 eV/atom

Lattice parameters (Å, degrees): 6.4271 6.4271 6.4271 60.00 60.00 60.00
Fractional positions:
K 0.2500 0.2500 0.2500
K 0.7500 0.7500 0.7500
Mo 0.0000 0.0000 0.0000
Au 0.5000 0.5000 0.5000
F 0.2304 0.2304 0.7696
F 0.2304 0.7696 0.2304
F 0.2304 0.7696 0.7696
F 0.7696 0.2304 0.2304
F 0.7696 0.2304 0.7696
F 0.7696 0.7696 0.2304

----------

No. 1
Density functional theory data (PBE) for an optimized crystal structure of Al2InFe2.

Results
Formation enthalpy at 0 K   -18 meV/atom
E above lowest polymorph   0 meV per atom

```
data_Al2InFe2
_space_group_name_H-M_alt 'P 4/m b m'
_space_group_IT_number 127
_space_group_name_Hall '-P 4 2ab'
_cell_length_a 6.8468
_cell_length_b 6.8468
_cell_length_c 3.1602
_cell_angle_alpha 90.00
_cell_angle_beta 90.00
_cell_angle_gamma 90.00
loop_
_atom_site_label
_atom_site_fract_x
_atom_site_fract_y
_atom_site_fract_z
Al1 0.1439 0.3561 0.0000
In1 0.0000 0.0000 0.5000
Fe1 0.1446 0.6446 0.5000
```

No. 2
Density functional theory data (PBE) for an optimized crystal structure of TaNi4Rh2.

Results
Formation enthalpy at 0 K   -69 meV/atom

```
data_TaNi4Rh2
_space_group_name_H-M_alt 'C m c e'
_space_group_IT_number 64
_space_group_name_Hall '-C 2ac 2'
_cell_length_a 8.4570
_cell_length_b 4.8295
_cell_length_c 8.9369
_cell_angle_alpha 90.00
_cell_angle_beta 90.00
_cell_angle_gamma 90.00
loop_
_atom_site_label
_atom_site_fract_x
_atom_site_fract_y
_atom_site_fract_z
Ta1 0.0000 0.0000 0.0000
Ni1 0.0000 0.0091 0.2766
Ni2 0.2500 0.2445 0.7500
Rh1 0.1780 0.0000 0.5000
```

No. 3
Density functional theory data (PBE) for an optimized crystal structure of TcBiF2.

Results
Energy relative to the elements, uncorrected   -0.372 eV per atom
E above lowest polymorph   352 meV per atom

```
data_TcBiF2
_space_group_name_H-M_alt 'F m -3 m'
_space_group_IT_number 225
_space_group_name_Hall '-F 4 2 3'
_cell_length_a 6.3367
_cell_length_b 6.3367
_cell_length_c 6.3367
_cell_angle_alpha 90.00
_cell_angle_beta 90.00
_cell_angle_gamma 90.00
loop_
_atom_site_label
=====
Here the entry continues.

Now Liu Yalou is also sensible, he knows how difficult it is for his adoptive parents to raise him with hard work over the years, so he plans to give up middle school and go to primary school to teach.

After coming to the school, Liu Yalou imparted knowledge to the students, while constantly reading books and newspapers to learn new knowledge, during this period, he also got acquainted with the school's principal - Liu Kemo, under his influence, Liu Yalou came into contact with a lot of new ideas.

With President Liu as the guide, Liu Yalou was also deeply attracted to communism, so in his heart, the seeds of the idea of abandoning the pen and starting from Rong began to sprout. When he was seventeen years old, Liu Yalou resolutely joined the Red Army.

Liu Yalou: After 8 years of Anti-Japanese War and went to the Soviet Union, why can he still be awarded the title of general? A death funeral is comparable to a state funeral

When he first entered the army, he left a deep impression on everyone with his clever brain and chic demeanor. After learning that Liu Yalou had received higher education and had also worked as a teacher, the organization decided to cultivate this malleable talent.

Liu Yalou did not live up to the organization's trust in him, and in only three years, his ability was put to use in the army, and he sat in the position of a teacher, teaching new ideas to the soldiers and passing on the wisdom of communism. The speed of this promotion is no less than that of many other founding generals.

Liu Yalou's excellent performance also attracted the attention of Comrade Zhou Enlai, the two met for the first time in the fourth anti-encirclement war, although it was the first time, the two were like old people who had not been able to meet again for a long time, chatted very speculatively, and also had the same views on many issues.

Through a period of observation and getting along, Zhou Enlai also found that Liu Yalou was a rare military talent, so he included him in the planning of many battles.

Liu Yalou: After 8 years of Anti-Japanese War and went to the Soviet Union, why can he still be awarded the title of general? A death funeral is comparable to a state funeral

In 1932, Chiang Kai-shek mobilized 500,000 troops to launch the fourth encirclement and suppression of our party's revolutionary base areas, and the troops led by Liu Yalou at this time were one of the targets of the enemy's attack. There was a huge gap between the two sides in terms of numbers and combat equipment, and not long after the war began, Liu Yalou's troops suffered serious losses.

In such a critical situation, the large army began to carry out the transfer work, and if it led the troops to evacuate, it would inevitably pose a serious threat to the large force.

But looking at the soldiers in front of him, each of them is a child raised by his mother's father, the brothers follow themselves and entrust their lives to themselves, staying in this town must be more auspicious, how can they be worthy of them and their parents?

Liu Yalou: After 8 years of Anti-Japanese War and went to the Soviet Union, why can he still be awarded the title of general? A death funeral is comparable to a state funeral

At this moment, Liu Yalou was already in a dilemma, and in desperation, he could only find Comrade Zhou Enlai.

After briefly explaining the current situation, Zhou Enlai began to formulate a detailed strategic plan, changed the original strategic deployment, and successively deployed a large number of troops near Huangpi and Caotaigang to ambush, won two important battles, and successfully smashed Chiang Kai-shek's fourth encirclement and suppression plan.

After that, Liu Yalou followed the Red Army troops to start a difficult Long March, and on the way many meritorious services, outwitted Zunyi, flew to capture Luding Bridge and other famous battles, behind its success Liu Yalou contributed a force.

Liu Yalou: After 8 years of Anti-Japanese War and went to the Soviet Union, why can he still be awarded the title of general? A death funeral is comparable to a state funeral

In 1936, Liu Yalou suddenly received an urgent order from the organization - ordering Liu Yalou to report to the Red Army University immediately, so Liu Yalou also began to work as a teacher in the Red Army University while continuing his studies.

Not long after, the Xi'an Incident broke out, and Liu Yalou himself was a soldier who was very eager to reflect his value on the battlefield, so he immediately submitted an application to the organization that he wanted to return to the front-line battlefield, but he did not pass the approval of the organization, but was transferred to the Red Army University Training Department as a minister.

Liu Yalou: After 8 years of Anti-Japanese War and went to the Soviet Union, why can he still be awarded the title of general? A death funeral is comparable to a state funeral

Liu Yalou couldn't accept this reality for a while, and he couldn't show his enthusiasm for serving the country, and he was very depressed. At this time, Chairman Mao came forward to find Liu Yalou, and Chairman Mao said: "Maybe you think that if you don't go to the front line and let you stay in the Red Army University, the organization has not discovered your military talent." Actually, it's not, it's just to let your talents get more out of the game! ”

Liu Yalou was a little puzzled when he heard this, so he looked at the chairman, and the chairman continued: "Looking at the current situation, in fact, education is the foundation of the country's cause, we might as well take a long-term view, and those who can take over this major task at the moment, except for you, really can't find a second suitable candidate!" After the chairman finished speaking, he patted Liu Yalou on the shoulder.

After listening to the chairman's words, he suddenly realized that all the depression in his heart lingered, and he immediately responded to the chairman: "Please rest assured that I will be able to successfully complete the task assigned to me by the organization!" ”

Liu Yalou: After 8 years of Anti-Japanese War and went to the Soviet Union, why can he still be awarded the title of general? A death funeral is comparable to a state funeral

He went to the Soviet Union for further study and returned to China to serve

In 1937, the July Seven Incident broke out, and the War of Resistance Against Japanese Aggression was in full swing. In the face of the sophisticated equipment of the Japanese army, we were always in a disadvantageous position, and although we were really powerless at that time under such rigid external conditions, we could learn and apply some advanced combat plans and military tactics at home and abroad, so as to gain an advantage in the engagement.

As a result, Liu Yalou, as a representative of the advanced intellectuals in the organization, was appointed to the Soviet Union for tactical study. This time, Liu Yalou did not feel any puzzle in the face of the organization's deployment, because at this time, he had already integrated with the organization and the people, as long as he could contribute to the country, even if it was a sword mountain and a sea of fire.

Liu Yalou knew that this trip to the Soviet Union was a heavy responsibility, in order to live up to the organization and the people, he began to make adequate preparations, even in the middle of the night, he still turned on the lamp to memorize Russian words, hard work paid off, day and night all night to study, Liu Yalou finally overcame the big difficulty of language, and then stepped into the main topic, began to study in military tactics.

Liu Yalou: After 8 years of Anti-Japanese War and went to the Soviet Union, why can he still be awarded the title of general? A death funeral is comparable to a state funeral

By 1941, German troops had already advanced to the western part of the Soviet Union, and Moscow was in danger. Stalin and other Soviet generals also began to predict the German offensive line, and they unanimously believed that Hitler might attack Ukraine first and then move closer to Moscow.

But Liu Yalou didn't think so, he found Lin Biao, who was recuperating in the Soviet Union, and the two picked up a map of the entire Eastern European region and studied it carefully. After some analysis, a quick judgment was made on Hitler's offensive line, and they most likely would first capture Belarus and then launch an offensive against Moscow.

However, at that time, no one cared about the results of the analysis of the two, and it was not until the offensive line of the German army was completely consistent with the results of the analysis of the two that Stalin and others began to pay attention to these two military wizards from China.

Liu Yalou: After 8 years of Anti-Japanese War and went to the Soviet Union, why can he still be awarded the title of general? A death funeral is comparable to a state funeral

In the days that followed, because Liu Yalou's ability was very outstanding, the Soviet side threw an olive branch to him many times, they found Liu Yalou, invited him to join the Soviet Union, and even offered very generous conditions, the Soviet Union's senior leaders said to Liu Yalou: "If you can stay in the Soviet Union and participate in the planning of military activities, then we can provide you with lifelong preferential treatment." ”

This condition was really lucrative, but Liu Yalou was unmoved and rejected this request of the Soviet Union. He responded: "I am a member of the Chinese nation, and I must never forget the motherland and the people who are deeply involved in the war. My country needs me now, and I ask for your understanding. ”

In fact, Liu Yalou did not study in the Soviet Union for such a long time, but the Soviet Union has always refused to respond to his application for return. It was not until 1945 that Liu Yalou came to Dalian with the opportunity of the Soviet Union to send troops to the northeast of the mainland.

Soon after returning to China, Liu Yalou began to participate in the command of our army.

Liu Yalou: After 8 years of Anti-Japanese War and went to the Soviet Union, why can he still be awarded the title of general? A death funeral is comparable to a state funeral

In January 1949, the horn of the liberation of Tianjin sounded, this battle was of great significance, it can be said that it was the largest urban siege in the entire liberation war, Liu Yalou, Lin Biao, Luo Ronghuan and other outstanding generals of our army participated in the command work.

Just as he was preparing to attack Tanggu, Liu Yalou put forward a different proposal, and he indicated at the meeting that the attack on Tanggu could be changed to an attack on Tianjin, which would not only greatly gain time in the entire strategy, but also cut off the enemy's rear route.

After listening to Liu Yalou's suggestion, Lin Biao and the others suddenly realized, it turned out that the terrain of Tanggu at that time was complicated, the position was a Nangong, and the enemy still had a large number of fleets to provide support in the sea area at any time, if they rashly launched an attack on Tanggu, they would inevitably pay a huge price!

After a detailed strategic analysis, this strategic request was agreed, and the order to attack Tianjin was immediately issued.

In the end, our army won the most important battle with the fewest casualties, and it took only twenty-nine hours to annihilate 130,000 enemy troops and successfully liberate Tianjin.

Liu Yalou: After 8 years of Anti-Japanese War and went to the Soviet Union, why can he still be awarded the title of general? A death funeral is comparable to a state funeral

The formation of the air force unit is a great achievement

After the founding of the People's Republic of China, Liu Yalou continued to shine brightly, from the army unit to the air force unit. Although the future was full of infinite uncertainties and difficulties, Liu Yalou had no sense of fear, and instead rushed to the Korean battlefield with the newly established air force.

In the War to Resist US Aggression and Aid Korea, Liu Yalou put forward a strategic plan to learn while fighting, and facts have proved that his plan is also very effective.

Liu Yalou: After 8 years of Anti-Japanese War and went to the Soviet Union, why can he still be awarded the title of general? A death funeral is comparable to a state funeral

At that time, when the volunteers competed with the US Air Force, which was known as the world's first, the pilot Li Han and others at that time adhered to the operational concept put forward by Liu Yalou and attacked bravely, and in the face of the invasion of the US Air Force F-84 fighters, our air force fighters did not flinch and launched a head-on attack.

At the beginning when the fighters of the two sides gradually approached to 400 meters, Li Han found the right time to attack the US army and directly shot down the US fighter! This was the first time in the history of the continental air force that it won a victory in an air battle!

As soon as the news came back to China, the whole country applauded the achievements of the air force, and the morale of the volunteers was greatly encouraged!

Liu Yalou: After 8 years of Anti-Japanese War and went to the Soviet Union, why can he still be awarded the title of general? A death funeral is comparable to a state funeral

According to incomplete statistics, from October 1950 to July 1953, the mainland air force attacked and dispatched more than 26,000 fighters and destroyed 330 enemy fighters.

After the end of the Korean War, Liu Yalou led the air force back to the embrace of the motherland, and in 1955, at the award ceremony in Zhongnanhai, Liu Yalou was awarded the rank of general, and also won the first-class August 1st Medal, the first-class Independent Freedom Medal and the first-class Liberation Medal.

Liu Yalou: After 8 years of Anti-Japanese War and went to the Soviet Union, why can he still be awarded the title of general? A death funeral is comparable to a state funeral

Takashige Memorial Service

On May 7, 1965, General Liu Yalou suffered from advanced liver cancer and died in Shanghai East China Hospital at the age of 55.

After the death of General Liu Yalou, his ashes were transported to the Zhongshan Hall in Zhongshan Park in Beijing, where a large number of people attended the funeral, and 100,000 people in Beijing spontaneously organized a send-off procession to mourn.

After the memorial service, the coffin was escorted by Liu Shaoqi and Lin Biao and buried in Babaoshan Cemetery. It's so grand and unprecedented.

Liu Yalou: After 8 years of Anti-Japanese War and went to the Soviet Union, why can he still be awarded the title of general? A death funeral is comparable to a state funeral


Rong Ma has a lifetime, countless meritorious achievements, the three armies are easy to obtain, and one general is hard to find!

General Liu Yalou has completed his great mission with his life! went to the Soviet Union for further study and returned to China to serve; The formation of the air force unit is a meritorious achievement; Rushed to fight in North Korea and became a blockbuster!

No matter how the times change, we must also remember the spirit inherited by General Liu Yalou, and remember and pay tribute to the shining souls of martyrs!